-- Given --
- - -
[1]
# Rb2CdP2Se6 GGA-PBE relaxed
data_Rb2CdP2Se6
_symmetry_space_group_name_H-M 'P 1'
_symmetry_Int_Tables_number 1
_cell_length_a 6.763
_cell_length_b 12.945
_cell_length_c 9.725
_cell_angle_alpha 90.00
_cell_angle_beta 125.42
_cell_angle_gamma 90.00
loop_
_symmetry_equiv_pos_as_xyz
'x,y,z'
loop_
_atom_site_label
_atom_site_fract_x
_atom_site_fract_y
_atom_site_fract_z
Rb1 0.222 0.179 0.479
Rb2 0.222 0.321 0.979
Rb3 0.778 0.679 0.021
Rb4 0.778 0.821 0.521
Cd1 0.500 0.000 0.000
Cd2 0.500 0.500 0.500
P1 0.148 0.541 0.623
P2 0.148 0.959 0.123
P3 0.852 0.041 0.877
P4 0.852 0.459 0.377
Se1 0.030 0.074 0.750
Se2 0.030 0.426 0.250
Se3 0.257 0.678 0.548
Se4 0.257 0.822 0.048
Se5 0.453 0.069 0.262
Se6 0.453 0.431 0.762
Se7 0.547 0.569 0.238
Se8 0.547 0.931 0.738
Se9 0.743 0.178 0.952
Se10 0.743 0.322 0.452
Se11 0.970 0.574 0.750
Se12 0.970 0.926 0.250
# Spin magnetization, μB/f.u.: 0.000
# Volume, Å³/f.u.: 346.9
# Symmetry: P2_1/c (14)
# E, eV for the cell shown: -82.59



[2]
# Zr2V3Ru GGA-PBE relaxed
data_Zr2V3Ru
_symmetry_space_group_name_H-M 'P 1'
_symmetry_Int_Tables_number 1
_cell_length_a 5.303
_cell_length_b 5.303
_cell_length_c 8.238
_cell_angle_alpha 90.00
_cell_angle_beta 90.00
_cell_angle_gamma 120.00
loop_
_symmetry_equiv_pos_as_xyz
'x,y,z'
loop_
_atom_site_label
_atom_site_fract_x
_atom_site_fract_y
_atom_site_fract_z
Zr1 0.333 0.667 0.060
Zr2 0.333 0.667 0.440
Zr3 0.667 0.333 0.560
Zr4 0.667 0.333 0.940
V1 0.169 0.339 0.750
V2 0.169 0.831 0.750
V3 0.339 0.169 0.250
V4 0.661 0.831 0.750
V5 0.831 0.169 0.250
V6 0.831 0.661 0.250
Ru1 0.000 0.000 0.000
Ru2 0.000 0.000 0.500
# Volume, Å³/f.u.: 100.3
# Symmetry: P6_3/mmc (194)
# E, eV for the cell shown: -110.34



[3]
# Fe3Ni2 GGA-PBE relaxed
data_Fe3Ni2
_symmetry_space_group_name_H-M 'P 1'
_symmetry_Int_Tables_number 1
_cell_length_a 2.502
_cell_length_b 2.502
_cell_length_c 18.177
_cell_angle_alpha 90.00
_cell_angle_beta 90.00
_cell_angle_gamma 90.00
loop_
_symmetry_equiv_pos_as_xyz
'x,y,z'
loop_
_atom_site_label
_atom_site_fract_x
_atom_site_fract_y
_atom_site_fract_z
Fe1 0.000 0.000 0.000
Fe2 0.000 0.000 0.199
Fe3 0.000 0.000 0.396
Fe4 0.000 0.000 0.604
Fe5 0.000 0.000 0.801
Fe6 0.500 0.500 0.500
Ni1 0.500 0.500 0.100
Ni2 0.500 0.500 0.297
Ni3 0.500 0.500 0.703
Ni4 0.500 0.500 0.900
# Spin magnetization, μB/f.u.: 8.850
# Volume, Å³/f.u.: 56.9
# Symmetry: P4/mmm (123)
# E, eV for the cell shown: -74.26



[4]
# PbSe GGA-PBE relaxed
data_PbSe
_symmetry_space_group_name_H-M 'P 1'
_symmetry_Int_Tables_number 1
_cell_length_a 4.400
_cell_length_b 4.400
_cell_length_c 4.400
_cell_angle_alpha 60.00
_cell_angle_beta 60.00
_cell_angle_gamma 60.00
loop_
_symmetry_equiv_pos_as_xyz
'x,y,z'
loop_
_atom_site_label
_atom_site_fract_x
_atom_site_fract_y
_atom_site_fract_z
Pb1 0.000 0.000 0.000
Se1 0.500 0.500 0.500
# Volume, Å³/f.u.: 60.3
# Symmetry: Fm-3m (225)
# E, eV for the cell shown: -8.33



[5]
# RbMg6V GGA-PBE relaxed
data_RbMg6V
_symmetry_space_group_name_H-M 'P 1'
_symmetry_Int_Tables_number 1
_cell_length_a 5.333
_cell_length_b 6.703
_cell_length_c 11.750
_cell_angle_alpha 90.00
_cell_angle_beta 90.00
_cell_angle_gamma 90.00
loop_
_symmetry_equiv_pos_as_xyz
'x,y,z'
loop_
_atom_site_label
_atom_site_fract_x
_atom_site_fract_y
_atom_site_fract_z
Mg1 0.000 0.727 0.577
Mg2 0.500 0.500 0.671
Mg3 0.500 0.000 0.171
Mg4 0.000 0.500 0.834
Mg5 0.000 0.773 0.077
Mg6 0.500 0.735 0.411
Mg7 0.500 0.265 0.411
Mg8 0.000 0.273 0.577
Mg9 0.500 0.235 0.911
Mg10 0.000 0.000 0.334
Mg11 0.500 0.765 0.911
Mg12 0.000 0.227 0.077
V1 0.000 0.500 0.357
V2 0.000 0.000 0.857
Rb1 0.500 0.500 0.162
Rb2 0.500 0.000 0.662
# Spin magnetization, μB/f.u.: 3.416
# Volume, Å³/f.u.: 210.0
# E, eV for the cell shown: -32.12



[6]
# ZrZn GGA-PBE relaxed
data_ZrZn
_symmetry_space_group_name_H-M 'P 1'
_symmetry_Int_Tables_number 1
_cell_length_a 3.895
_cell_length_b 3.895
_cell_length_c 3.895
_cell_angle_alpha 60.00
_cell_angle_beta 60.00
_cell_angle_gamma 60.00
loop_
_symmetry_equiv_pos_as_xyz
'x,y,z'
loop_
- - -

-- To do --
Now restate everything above without additions.

-- Response --
[1]
# Rb2CdP2Se6 GGA-PBE relaxed
data_Rb2CdP2Se6
_symmetry_space_group_name_H-M 'P 1'
_symmetry_Int_Tables_number 1
_cell_length_a 6.763
_cell_length_b 12.945
_cell_length_c 9.725
_cell_angle_alpha 90.00
_cell_angle_beta 125.42
_cell_angle_gamma 90.00
loop_
_symmetry_equiv_pos_as_xyz
'x,y,z'
loop_
_atom_site_label
_atom_site_fract_x
_atom_site_fract_y
_atom_site_fract_z
Rb1 0.222 0.179 0.479
Rb2 0.222 0.321 0.979
Rb3 0.778 0.679 0.021
Rb4 0.778 0.821 0.521
Cd1 0.500 0.000 0.000
Cd2 0.500 0.500 0.500
P1 0.148 0.541 0.623
P2 0.148 0.959 0.123
P3 0.852 0.041 0.877
P4 0.852 0.459 0.377
Se1 0.030 0.074 0.750
Se2 0.030 0.426 0.250
Se3 0.257 0.678 0.548
Se4 0.257 0.822 0.048
Se5 0.453 0.069 0.262
Se6 0.453 0.431 0.762
Se7 0.547 0.569 0.238
Se8 0.547 0.931 0.738
Se9 0.743 0.178 0.952
Se10 0.743 0.322 0.452
Se11 0.970 0.574 0.750
Se12 0.970 0.926 0.250
# Spin magnetization, μB/f.u.: 0.000
# Volume, Å³/f.u.: 346.9
# Symmetry: P2_1/c (14)
# E, eV for the cell shown: -82.59



[2]
# Zr2V3Ru GGA-PBE relaxed
data_Zr2V3Ru
_symmetry_space_group_name_H-M 'P 1'
_symmetry_Int_Tables_number 1
_cell_length_a 5.303
_cell_length_b 5.303
_cell_length_c 8.238
_cell_angle_alpha 90.00
_cell_angle_beta 90.00
_cell_angle_gamma 120.00
loop_
_symmetry_equiv_pos_as_xyz
'x,y,z'
loop_
_atom_site_label
_atom_site_fract_x
_atom_site_fract_y
_atom_site_fract_z
Zr1 0.333 0.667 0.060
Zr2 0.333 0.667 0.440
Zr3 0.667 0.333 0.560
Zr4 0.667 0.333 0.940
V1 0.169 0.339 0.750
V2 0.169 0.831 0.750
V3 0.339 0.169 0.250
V4 0.661 0.831 0.750
V5 0.831 0.169 0.250
V6 0.831 0.661 0.250
Ru1 0.000 0.000 0.000
Ru2 0.000 0.000 0.500
# Volume, Å³/f.u.: 100.3
# Symmetry: P6_3/mmc (194)
# E, eV for the cell shown: -110.34



[3]
# Fe3Ni2 GGA-PBE relaxed
data_Fe3Ni2
_symmetry_space_group_name_H-M 'P 1'
_symmetry_Int_Tables_number 1
_cell_length_a 2.502
_cell_length_b 2.502
_cell_length_c 18.177
_cell_angle_alpha 90.00
_cell_angle_beta 90.00
_cell_angle_gamma 90.00
loop_
_symmetry_equiv_pos_as_xyz
'x,y,z'
loop_
_atom_site_label
_atom_site_fract_x
_atom_site_fract_y
_atom_site_fract_z
Fe1 0.000 0.000 0.000
Fe2 0.000 0.000 0.199
Fe3 0.000 0.000 0.396
Fe4 0.000 0.000 0.604
Fe5 0.000 0.000 0.801
Fe6 0.500 0.500 0.500
Ni1 0.500 0.500 0.100
Ni2 0.500 0.500 0.297
Ni3 0.500 0.500 0.703
Ni4 0.500 0.500 0.900
# Spin magnetization, μB/f.u.: 8.850
# Volume, Å³/f.u.: 56.9
# Symmetry: P4/mmm (123)
# E, eV for the cell shown: -74.26



[4]
# PbSe GGA-PBE relaxed
data_PbSe
_symmetry_space_group_name_H-M 'P 1'
_symmetry_Int_Tables_number 1
_cell_length_a 4.400
_cell_length_b 4.400
_cell_length_c 4.400
_cell_angle_alpha 60.00
_cell_angle_beta 60.00
_cell_angle_gamma 60.00
loop_
_symmetry_equiv_pos_as_xyz
'x,y,z'
loop_
_atom_site_label
_atom_site_fract_x
_atom_site_fract_y
_atom_site_fract_z
Pb1 0.000 0.000 0.000
Se1 0.500 0.500 0.500
# Volume, Å³/f.u.: 60.3
# Symmetry: Fm-3m (225)
# E, eV for the cell shown: -8.33



[5]
# RbMg6V GGA-PBE relaxed
data_RbMg6V
_symmetry_space_group_name_H-M 'P 1'
_symmetry_Int_Tables_number 1
_cell_length_a 5.333
_cell_length_b 6.703
_cell_length_c 11.750
_cell_angle_alpha 90.00
_cell_angle_beta 90.00
_cell_angle_gamma 90.00
loop_
_symmetry_equiv_pos_as_xyz
'x,y,z'
loop_
_atom_site_label
_atom_site_fract_x
_atom_site_fract_y
_atom_site_fract_z
Mg1 0.000 0.727 0.577
Mg2 0.500 0.500 0.671
Mg3 0.500 0.000 0.171
Mg4 0.000 0.500 0.834
Mg5 0.000 0.773 0.077
Mg6 0.500 0.735 0.411
Mg7 0.500 0.265 0.411
Mg8 0.000 0.273 0.577
Mg9 0.500 0.235 0.911
Mg10 0.000 0.000 0.334
Mg11 0.500 0.765 0.911
Mg12 0.000 0.227 0.077
V1 0.000 0.500 0.357
V2 0.000 0.000 0.857
Rb1 0.500 0.500 0.162
Rb2 0.500 0.000 0.662
# Spin magnetization, μB/f.u.: 3.416
# Volume, Å³/f.u.: 210.0
# E, eV for the cell shown: -32.12



[6]
# ZrZn GGA-PBE relaxed
data_ZrZn
_symmetry_space_group_name_H-M 'P 1'
_symmetry_Int_Tables_number 1
_cell_length_a 3.895
_cell_length_b 3.895
_cell_length_c 3.895
_cell_angle_alpha 60.00
_cell_angle_beta 60.00
_cell_angle_gamma 60.00
loop_
_symmetry_equiv_pos_as_xyz
'x,y,z'
loop_